Healthy Brain Food

Healthy Brain Food in a “Snap”!!!

Healthy Brain Food ~ Is it necessary to feed our brains?! We constantly focus on eating the right foods to keep our hearts, liver, kidneys, and other major organs healthy; but, we don’t seem to do anything for our brains. Let’s face it, it won’t matter how much we take care of everything else if we don’t take care of our brains. Well, we have found an incredible and exclusive product with an amazing, life-changing delivery system. This product is called Brān Reimagined. The word Brān has a long “A” so it is pronounced “Brain”. It is brain food that feeds the amazing organ inside our heads. GO HERE to GET YOURS NOW!!!

Speed Up and Boost Your Mental Energy!!!

Are you ready for your overall wellness and happiness to increase? If so, then Brān Reimagined is the product for you. With everything we are contending with on a daily basis these days, it is easy to feel overwhelmed. all the things we have to contend with on a daily basis, we sometimes get overwhelmed. This constant bombardment of stress takes a toll on our brains causing confusion and mental instability. Thus, our brains and bodies are in a constant state of flight or fight, severely limiting our ability to deal with day to day life. Just imagine how good your body and over all well being will feel when you have a Brain Food that works to improve your life and brain functionality!!!

Healthy Brain Food Assists with Increasing Positive Thinking!!!

Our minds and bodies are under constant assault by massive amounts of outside challenges on a daily basis. This is overwhelming for all of us and it is hard to keep our focus and deal with day-to-day life struggles and stresses. Not to mention the extra struggles and stressors we aren’t expecting such as COVID-19 and quarantine.

Consequently, our lives are no longer simple and easy. All of us have days where just the thought of getting out of bed makes us want to roll over and pull the covers over our heads. But, what if we couldn’t wait to jump out of bed and start our day was the norm and not the rare exception?! Wouldn’t that be amazing?! Well, on a daily basis, start taking a Brān Reimagined “SNAP” when you get up in the morning. Jumping out of bed eager to take on the day will be your new norm!!!

Better Sleep, Less Stress & More Energy!!!

In addition to better sleep, less stress and more energy, Brān Reimagined improves your overall mood. We all want to be happy!!! We all deserve to be happy!!! But, I also know it frequently takes a lot of effort for me to be happy. With everything going on in the world right now, poor food choices and poor lifestyle choices, I struggle with depression and stress. However, with Brān Reimagined, the mood enhancer of the century, I have more focus, more mental clarity, and genuine feelings of happiness!!! Awesome!!!

• Data records that have nothing to do with the article:
=====
8
Lattice="6.429 0.000 0.000 0.000 6.429 0.000 0.000 0.000 11.436" Properties=species:S:1:pos:R:3 comment="Rb3Mo GGA-PBE relaxed" density_g_cm3=2.5 formation_enthalpy_0k_ev_per_atom=1.21 energy_ev_per_atom=-2.234 magnetic_moment_mub_per_fu=5.008 de_polymorph_mev_per_atom=8 space_group="No. 139" pbc="T T T"
Rb 0.000 0.000 0.000
Rb 0.000 3.215 2.859
Rb 0.000 3.215 8.577
Rb 3.215 0.000 2.859
Rb 3.215 0.000 8.577
Rb 3.215 3.215 5.718
Mo 0.000 0.000 5.718
Mo 3.215 3.215 0.000


a | ! SrMgFe2Se4O12 GGA+U relaxed; values from VASP
&SYSTEM
  ibrav = 0, nat = 20, ntyp = 5
/
ATOMIC_SPECIES
Sr 87.62 Sr.upf
Mg 24.30 Mg.upf
O 16.00 O.upf
Fe 55.84 Fe.upf
Se 78.96 Se.upf
CELL_PARAMETERS angstrom
-5.604 -0.229 -0.489
-0.558 -1.570 7.121
-0.405 7.283 1.230
ATOMIC_POSITIONS angstrom
Sr -3.291 2.623 4.071
Mg -0.488 4.898 3.305
O -2.161 1.550 6.146
Fe -0.740 1.957 7.559
O -3.299 6.284 2.460
O -4.671 1.448 5.927
Se -3.418 0.411 6.564
O -4.978 4.764 4.566
Se -0.755 5.343 6.148
O -3.264 -0.816 5.369
O -1.677 0.876 3.150
O -0.145 1.506 0.962
Se -0.221 0.485 2.305
O -0.802 4.091 7.269
O -4.574 0.758 2.897
O -4.495 3.960 1.805
Se -3.150 5.023 1.343
O -1.893 4.890 4.836
Fe -3.087 -0.778 3.328
O -1.825 4.069 2.038
! SG ... Pm

b | ! SrMgFe2Se4O12 GGA+U relaxed; values from VASP
&SYSTEM
  ibrav = 0, nat = 20, ntyp = 5
/
ATOMIC_SPECIES
O 16.00 O.upf
Se 78.96 Se.upf
Fe 55.84 Fe.upf
Mg 24.30 Mg.upf
Sr 87.62 Sr.upf
CELL_PARAMETERS angstrom
-3.716 -0.144 -4.643
0.039 -7.311 0.196
-5.324 0.368 4.250
ATOMIC_POSITIONS angstrom
O -4.754 -3.941 2.323
O -4.247 -3.147 -2.519
Se -4.655 -4.796 3.876
Fe -2.662 0.184 2.125
O -5.835 -1.324 -0.806
O -3.167 -5.764 0.610
O -2.097 -3.064 0.168
O -4.831 -5.828 -1.470
O -2.164 -5.620 -1.904
O -4.171 -1.259 1.274
Mg -2.643 -3.472 2.223
O -6.838 -1.468 1.708
O -6.905 -4.024 -0.364
O -1.155 -0.598 0.943
Se -0.630 -2.147 0.571
Se -3.308 -6.519 -0.961
O -4.131 -6.345 3.504
Fe -1.839 -3.728 -2.223
Sr -4.501 -3.544 -0.098
Se -5.694 -0.569 0.765
! SG ... P2/m

Of them, the most stable is a and the least stable is b.

a | ! SrMg14FeO16 GGA+U relaxed; values from VASP
&SYSTEM
  ibrav = 0, nat = 32, ntyp = 4
/
ATOMIC_SPECIES
O 16.00 O.upf
Mg 24.30 Mg.upf
Sr 87.62 Sr.upf
Fe 55.84 Fe.upf
CELL_PARAMETERS angstrom
8.693 0.000 0.000
0.000 8.633 0.000
0.000 0.000 4.418
ATOMIC_POSITIONS angstrom
O 2.275 0.000 0.000
Mg 6.436 4.316 2.209
O 0.000 0.000 2.209
O 4.347 0.000 2.209
O 6.335 4.316 0.000
Mg 4.347 0.000 0.000
Mg 2.174 0.000 2.209
Sr 0.000 4.316 0.000
Mg 2.257 4.316 2.209
O 4.347 6.500 0.000
O 0.000 4.316 2.209
O 4.347 2.133 0.000
O 6.419 0.000 0.000
Mg 4.347 6.492 2.209
Mg 6.454 6.527 0.000
O 6.528 2.158 2.209
O 6.528 6.475 2.209
Mg 6.519 0.000 2.209
O 2.358 4.316 0.000
O 2.166 2.158 2.209
Mg 4.347 2.141 2.209
Mg 4.347 4.316 0.000
O 2.166 6.475 2.209
Mg 0.000 6.557 2.209
O 0.000 6.647 0.000
Fe 0.000 0.000 0.000
Mg 0.000 2.075 2.209
Mg 2.239 2.105 0.000
Mg 6.454 2.105 0.000
Mg 2.239 6.527 0.000
O 0.000 1.986 0.000
O 4.347 4.316 2.209
! SG ... Pmmm
=====
• End of the data records:

This is another miraculous addition to everyone’s daily routine. When you are not your happy self, you are not operating at your full potential. We have found the perfect way to make better use of our time and maximize the 24-hour gift we are given each day. GO HERE and get a box (or 2 or 3) for yourself!!!

This is a fabulous product that comes in 3 tasty flavors: Caramel Macchiato, Lemon Drop, and Chocolate with Sea Salt. These little packets are so easy to take with you anywhere and so easy to use. All you have to do is “SNAP” the packet in half and draw the liquid in to your mouth. Hold the liquid under your tongue for about 15 seconds then swallow. Chase the “SNAP” with a glass of water. I find the more water I drink afterward, the better I feel. Or, if you prefer, “SNAP” the packet in half and squeeze the liquid into a glass of water, a cup of coffee, or your beverage of choice. TRY THIS WOW PRODUCT TO START YOUR DAY THE HAPPY WAY!!!

I am sharing this product with anyone and everyone! It is rapidly becoming a favorite. I am so happy I found this life changing product and knowing I’m helping others to change their life for the better makes me smile!!!

Start Your Happy and Amazing Day the Brān Reimagined Way!!!

Go Here and check out the other amazing members of our SNAP Family!!!